### Material
+++
[1]
{"formula": "FeTcOs", "functional": "PBE", "state": "optimized geometry", "relative_energy_mev_per_atom": 35.5, "total_magnetization_mub_per_fu": 0.01, "spacegroup": "C2, No. 5", "ef_ev_per_atom": 0.03, "lattice_angstrom": [[-4.3351, -0.7777, -2.5058], [-1.2167, -3.2409, 3.1108], [0.6576, 5.3912, 5.8740]], "species": ["Os", "Os", "Os", "Os", "Tc", "Tc", "Tc", "Tc", "Fe", "Fe", "Fe", "Fe"], "frac_coords": [[0.5043, 0.6317, 0.3311], [0.4957, 0.6317, 0.6689], [0.5043, 0.1317, 0.8311], [0.4957, 0.1317, 0.1689], [0.0083, 0.4559, 0.3329], [0.9917, 0.4559, 0.6671], [0.0083, 0.9559, 0.8329], [0.9917, 0.9559, 0.1671], [0.0000, 0.4611, 0.0000], [0.0000, 0.9611, 0.5000], [0.5000, 0.1267, 0.5000], [0.5000, 0.6267, 0.0000]]}

***

[2]
{"formula": "PmDy2Er3Bi6", "functional": "PBE", "state": "optimized geometry", "total_magnetization_mub_per_fu": 0.00, "spacegroup": "C2/m, No. 12", "ef_ev_per_atom": -0.85, "lattice_angstrom": [[-3.8642, -2.2629, 0.0816], [2.3110, -3.6637, 7.8399], [-2.7727, 9.2608, 2.6019]], "species": ["Pm", "Dy", "Dy", "Er", "Er", "Er", "Bi", "Bi", "Bi", "Bi", "Bi", "Bi"], "frac_coords": [[0.5000, 0.0000, 0.0000], [0.8328, 0.6665, 0.6657], [0.1672, 0.3335, 0.3343], [0.5000, 0.5000, 0.0000], [0.8343, 0.1675, 0.6687], [0.1657, 0.8325, 0.3313], [0.3308, 0.9169, 0.6616], [0.6661, 0.5843, 0.3322], [0.6692, 0.0831, 0.3384], [0.0001, 0.2563, 0.0002], [0.9999, 0.7437, 0.9998], [0.3339, 0.4157, 0.6678]]}

~~~~~

{
  "formula": "K2Sb9PbSe15",
  "functional": "GGA-PBEsol",
  "state": "optimized geometry",
  "sg": "P2_1/m, No. 11",
  "raw_formation_energy_mev_per_atom": -393.7,
  "magmom_total_mub_per_cell": 0.0,
  "energy_ev_per_cell": -231.3,
  "lattice": [[4.141, 0.000, 0.000], [0.000, 17.051, -0.030], [0.000, -3.514, 21.104]],
  "species": ["Se", "Se", "Se", "Se", "Se", "Se", "Se", "Se", "Se", "Se", "Se", "Se", "Se", "Se", "Se", "Se", "Se", "Se", "Se", "Se", "Se", "Se", "Se", "Se", "Se", "Se", "Se", "Se", "Se", "Se", "Sb", "Sb", "Sb", "Sb", "Sb", "Sb", "Sb", "Sb", "Sb", "Sb", "Sb", "Sb", "Sb", "Sb", "Sb", "Sb", "Sb", "Sb", "K", "K", "K", "K", "Pb", "Pb"],
  "frac_coords": [[0.750, 0.349, 0.350], [0.750, 0.742, 0.116], [0.750, 0.033, 0.851], [0.750, 0.061, 0.312], [0.750, 0.572, 0.494], [0.250, 0.683, 0.959], [0.250, 0.539, 0.088], [0.250, 0.182, 0.456], [0.250, 0.967, 0.149], [0.750, 0.568, 0.260], [0.250, 0.823, 0.826], [0.250, 0.699, 0.371], [0.750, 0.894, 0.987], [0.250, 0.428, 0.506], [0.250, 0.432, 0.740], [0.750, 0.301, 0.629], [0.750, 0.177, 0.174], [0.250, 0.106, 0.013], [0.750, 0.317, 0.041], [0.250, 0.939, 0.417], [0.750, 0.824, 0.272], [0.250, 0.380, 0.209], [0.250, 0.176, 0.728], [0.750, 0.818, 0.544], [0.750, 0.461, 0.912], [0.250, 0.258, 0.884], [0.750, 0.061, 0.583], [0.250, 0.939, 0.688], [0.250, 0.651, 0.650], [0.750, 0.620, 0.791], [0.250, 0.927, 0.562], [0.250, 0.820, 0.057], [0.250, 0.542, 0.841], [0.250, 0.944, 0.291], [0.250, 0.193, 0.605], [0.750, 0.609, 0.027], [0.250, 0.248, 0.113], [0.250, 0.964, 0.911], [0.750, 0.752, 0.887], [0.750, 0.807, 0.395], [0.750, 0.180, 0.943], [0.750, 0.073, 0.438], [0.750, 0.036, 0.089], [0.750, 0.458, 0.159], [0.250, 0.391, 0.973], [0.750, 0.056, 0.709], [0.750, 0.330, 0.465], [0.250, 0.670, 0.535], [0.750, 0.503, 0.631], [0.250, 0.213, 0.302], [0.750, 0.787, 0.698], [0.250, 0.497, 0.369], [0.250, 0.677, 0.231], [0.750, 0.323, 0.769]]
}

~~~~~

! LiCo2GeO4 (PBE with a Hubbard U, relaxed); values from VASP
! Magnetic moment ... 5.0 μB per cell
! E_tot ... -47.2 eV per formula unit
&SYSTEM
  ibrav = 0, nat = 8, ntyp = 4
/
ATOMIC_SPECIES
Li 6.94 Li.upf
Co 58.93 Co.upf
Ge 72.64 Ge.upf
O 16.00 O.upf
CELL_PARAMETERS angstrom
-3.170 0.076 3.194
2.585 -2.966 2.618
2.385 4.867 -1.085
ATOMIC_POSITIONS crystal
Li 0.979 0.493 0.968
Co 0.537 0.982 0.001
Co 0.184 0.207 0.444
Ge 0.740 0.746 0.474
O 0.623 0.616 0.689
O 0.847 0.415 0.235
O 0.385 0.845 0.237
O 0.092 0.084 0.726

~~~~~

# 1
# AgP2W

An optimized crystal structure of AgP2W (PBE, the Alexandria database).
+++

### What to do
Restate only the last part of the material further above, starting with the line that has "0.444".

### Here it is
Co 0.184 0.207 0.444
Ge 0.740 0.746 0.474
O 0.623 0.616 0.689
O 0.847 0.415 0.235
O 0.385 0.845 0.237
O 0.092 0.084 0.726

~~~~~

# 1
# AgP2W

An optimized crystal structure of AgP2W (PBE, the Alexandria database).